-- Excerpt --
The following is a PBE with a Hubbard U calculation of FeOF after structural relaxation, from the Materials Project.

The structure in POSCAR format:
```
FeOF
1.0
4.772 0.000 0.000
0.396 5.666 0.000
0.383 0.649 7.770
Fe F O
6 6 6
direct
0.002 0.671 0.341
0.986 0.996 0.987
0.005 0.307 0.661
0.504 0.160 0.326
0.480 0.502 0.015
0.521 0.869 0.674
0.704 0.534 0.766
0.799 0.374 0.440
0.195 0.301 0.894
0.808 0.700 0.102
0.192 0.959 0.226
0.182 0.620 0.572
0.293 0.465 0.239
0.698 0.206 0.099
0.811 0.043 0.767
0.307 0.132 0.557
0.701 0.866 0.434
0.312 0.796 0.900
```

Calculated total energy in Ry/atom: -0.4404
DFT formation energy in meV/atom: -2016

* * * * *

Entry 1:
DFT (PBE+U) results for a relaxed LiV5B2O10 crystal.

Output
**DFT formation energy**: -2.5374 eV/atom
**Spin magnetization**: 0.6667 μB/atom

Cell: 9.5193 12.5327 3.0580 Å, 90.00 90.00 90.00°
Space group Pbam (No. 55)
Inequivalent atoms, fractional coordinates:
Li (0.0000, 0.0000, 0.0000) [2 per cell]
V (0.0000, 0.5000, 0.5000) [2 per cell]
V (0.0060, 0.2141, 0.5000) [4 per cell]
V (0.2480, 0.3882, 0.0000) [4 per cell]
B (0.2236, 0.6414, 0.0000) [4 per cell]
O (0.1119, 0.3555, 0.5000) [4 per cell]
O (0.1177, 0.9191, 0.5000) [4 per cell]
O (0.1311, 0.1455, 0.0000) [4 per cell]
O (0.1454, 0.7356, 0.0000) [4 per cell]
O (0.1531, 0.5441, 0.0000) [4 per cell]



Entry 2:
DFT (PBE+U) results for a relaxed Li3MnFe2B3O9 crystal.

Output
**DFT formation energy**: -2.3866 eV/atom
**ΔE to the lowest computed polymorph**: 0.04 eV per formula unit
**Spin magnetization**: 0.7222 μB/atom

Cell: 8.2604 6.2843 8.2608 Å, 90.00 119.94 90.00°
Space group Pm (No. 6)
Inequivalent atoms, fractional coordinates:
Li (0.0000, 0.2488, 0.0000) [2 per cell]
Li (0.3163, 0.2495, 0.7299) [2 per cell]
Li (0.5864, 0.2499, 0.3177) [2 per cell]
Mn (0.2893, 0.5000, 0.3761) [1 per cell]
Mn (0.6727, 0.5000, 0.0282) [1 per cell]
Fe (0.2950, 0.0000, 0.3768) [1 per cell]
Fe (0.6686, 0.0000, 0.0231) [1 per cell]
Fe (0.9410, 0.0000, 0.6487) [1 per cell]
Fe (0.9424, 0.5000, 0.6501) [1 per cell]
B (0.3004, 0.5000, 0.0132) [1 per cell]
B (0.3010, 0.0000, 0.0165) [1 per cell]
B (0.6360, 0.2465, 0.6833) [2 per cell]
B (0.9671, 0.2465, 0.3503) [2 per cell]
O (0.0464, 0.2490, 0.5435) [2 per cell]
O (0.0807, 0.2459, 0.2705) [2 per cell]
O (0.1064, 0.5000, 0.9322) [1 per cell]
O (0.1078, 0.0000, 0.9305) [1 per cell]
O (0.3800, 0.5000, 0.8999) [1 per cell]
O (0.3877, 0.0000, 0.9093) [1 per cell]
O (0.4086, 0.0000, 0.2105) [1 per cell]
O (0.4124, 0.5000, 0.2063) [1 per cell]
O (0.4428, 0.2465, 0.5764) [2 per cell]
O (0.7222, 0.2459, 0.8762) [2 per cell]
O (0.7432, 0.2498, 0.5965) [2 per cell]
O (0.7744, 0.2466, 0.2366) [2 per cell]



Entry 3:
DFT (PBE+U) results for a relaxed Li7Mn5O12 crystal.

Output
**DFT formation energy**: -2.1412 eV/atom
**ΔE to the lowest computed polymorph**: 0.37 eV per formula unit
**Spin magnetization**: 0.7500 μB/atom

Cell: 5.2712 6.0344 15.1136 Å, 97.49 94.46 110.58°
Space group P-1 (No. 2)
Inequivalent atoms, fractional coordinates:
Li (0.0000, 0.0000, 0.0000) [1 per cell]
Li (0.0846, 0.6555, 0.5817) [2 per cell]
Li (0.0864, 0.1733, 0.5792) [2 per cell]
Li (0.2592, 0.4988, 0.7512) [2 per cell]
Li (0.2705, 0.9974, 0.7559) [2 per cell]
Li (0.4008, 0.8530, 0.9180) [2 per cell]
Li (0.4121, 0.3241, 0.9246) [2 per cell]
Li (0.5000, 0.5000, 0.5000) [1 per cell]
Mn (0.0000, 0.5000, 0.0000) [1 per cell]
Mn (0.1590, 0.3319, 0.1650) [2 per cell]
Mn (0.1593, 0.8370, 0.1630) [2 per cell]
Mn (0.3350, 0.1644, 0.3353) [2 per cell]
Mn (0.3376, 0.6589, 0.3355) [2 per cell]
Mn (0.5000, 0.0000, 0.5000) [1 per cell]
O (0.0538, 0.3517, 0.2925) [2 per cell]
O (0.0895, 0.8237, 0.2931) [2 per cell]
O (0.1126, 0.9814, 0.8694) [2 per cell]
O (0.1192, 0.4797, 0.8816) [2 per cell]
O (0.2221, 0.6820, 0.4558) [2 per cell]
O (0.2468, 0.1462, 0.4561) [2 per cell]
O (0.2535, 0.3554, 0.0442) [2 per cell]
O (0.2781, 0.8173, 0.0439) [2 per cell]
O (0.3806, 0.0219, 0.6181) [2 per cell]
O (0.4178, 0.5012, 0.6300) [2 per cell]

-- Request --
Could you restate only the lines above with the word "computed" in them?

-- Reply --
**ΔE to the lowest computed polymorph**: 0.04 eV per formula unit
**ΔE to the lowest computed polymorph**: 0.37 eV per formula unit